_Wanted_
Could you filter the contents underneath: keep the lines with the word "with"?

_Entries_
=====
VASP calculation (PBE+U) on crystalline HoGe2MoO8 at its relaxed geometry.

Cell lengths 5.772, 5.772, 5.772 Å; angles 107.02, 107.02, 114.50 degrees
Fractional coordinates of all 12 atoms:
1 Ho 0.000 0.000 0.000
2 Ge 0.250 0.750 0.500
3 Ge 0.500 0.500 0.000
4 Mo 0.750 0.250 0.500
5 O 0.041 0.367 0.326
6 O 0.041 0.715 0.674
7 O 0.119 0.313 0.806
8 O 0.285 0.959 0.326
9 O 0.507 0.313 0.194
10 O 0.633 0.959 0.674
11 O 0.687 0.493 0.806
12 O 0.687 0.881 0.194

Computed properties:
As for the space-group type: I-4m2. Its calculated total energy is -7.0088 eV per atom. Its total moment is 1.00 μB per formula unit.

----------

LiAcCdGa: relaxed, PBE-GGA.

**Energy of formation**: -103 kJ/mol of formula units
**Theoretical density**: 7.0 g/cm³
**M_tot**: 0.0 Bohr magnetons per cell

Unit cell a=5.1831 b=5.1831 c=5.1831 alpha=60.00 beta=60.00 gamma=60.00
With the nearest neighbours (Å) after each atom.
Fractional coordinates of all 4 atoms:
Li (0.0000, 0.0000, 0.0000)  4 Cd 3.17, 4 Ac 3.17
Ac (0.2500, 0.2500, 0.2500)  4 Ga 3.17, 4 Li 3.17
Cd (0.7500, 0.7500, 0.7500)  4 Ga 3.17, 4 Li 3.17
Ga (0.5000, 0.5000, 0.5000)  4 Cd 3.17, 4 Ac 3.17



DySnIr: relaxed, PBE-GGA.

**Energy of formation**: -229 kJ/mol of formula units
**Theoretical density**: 12.1 g/cm³
**M_tot**: 0.0 Bohr magnetons per cell

Unit cell a=7.3584 b=4.2913 c=12.3287 alpha=90.00 beta=91.63 gamma=90.00
With the nearest neighbours (Å) after each atom.
Fractional coordinates of all 18 atoms:
Dy (0.0319, 0.2500, 0.1222)  5 Ir 3.05-3.10, 4 Sn 3.25-3.31
Dy (0.1468, 0.2500, 0.4191)  5 Ir 3.00-3.09, 5 Sn 3.31-3.35
Dy (0.4614, 0.7500, 0.7903)  5 Ir 2.86-3.16
Dy (0.5386, 0.2500, 0.2097)  5 Ir 2.86-3.16
Dy (0.8532, 0.7500, 0.5809)  5 Ir 3.00-3.09, 5 Sn 3.31-3.35
Dy (0.9681, 0.7500, 0.8778)  5 Ir 3.05-3.10, 4 Sn 3.25-3.31
Sn (0.1290, 0.2500, 0.7074)  4 Ir 2.73-2.80
Sn (0.3460, 0.7500, 0.0459)  4 Ir 2.70-2.88
Sn (0.4907, 0.7500, 0.4103)  4 Ir 2.66-2.81
Sn (0.5093, 0.2500, 0.5897)  4 Ir 2.66-2.81
Sn (0.6540, 0.2500, 0.9541)  4 Ir 2.70-2.88
Sn (0.8710, 0.7500, 0.2926)  4 Ir 2.73-2.80
Ir (0.2338, 0.7500, 0.2537)  3 Sn 2.66-2.73
Ir (0.2616, 0.7500, 0.5877)  5 Sn 2.80-2.81, 4 Dy 2.86-3.09
Ir (0.2656, 0.2500, 0.9208)  4 Sn 2.70-2.88
Ir (0.7344, 0.7500, 0.0792)  4 Sn 2.70-2.88
Ir (0.7384, 0.2500, 0.4123)  5 Sn 2.80-2.81, 4 Dy 2.86-3.09
Ir (0.7662, 0.2500, 0.7463)  3 Sn 2.66-2.73

----------

Here is crystalline PaTcNiO6 at its relaxed geometry from the Alexandria database. Energies are from PBE+U.

Cell: 5.443 5.443 8.740 Å, 90.00 90.00 120.00°
Each line ends with the local moment (μB).
Sites, in units of the cell vectors:
O1 0.028 0.673 0.871  0.06
O2 0.972 0.645 0.371  0.06
O3 0.673 0.645 0.129  0.06
O4 0.327 0.355 0.871  0.06
O5 0.645 0.673 0.629  0.06
O6 0.327 0.972 0.629  0.06
O7 0.972 0.327 0.129  0.06
O8 0.673 0.028 0.371  0.06
O9 0.355 0.028 0.129  0.06
O10 0.355 0.327 0.371  0.06
O11 0.645 0.972 0.871  0.06
O12 0.028 0.355 0.629  0.06
Ni1 0.000 0.000 0.500  1.82
Ni2 0.000 0.000 0.000  1.82
Tc1 0.667 0.333 0.250  1.48
Tc2 0.333 0.667 0.750  1.48
Pa1 0.667 0.333 0.750  0.16
Pa2 0.333 0.667 0.250  0.16

Results
The total energy is -7.796 eV per atom. The value obtained for the total magnetization is 4.01 μB/f.u. The theoretical density is 7165 kg/m3. Its crystal system is trigonal. The value obtained for the density of states at the Fermi level is 9.555 states/eV/cell.

----------

1.
# PmNd3SmEr

A relaxed PmNd3SmEr crystal (PBE, Alexandria).

abc: 5.129 8.149 10.293
angles: 90.00 90.00 108.34
Fractional positions:
Nd 0.666 0.332 0.001
Nd 0.168 0.335 0.750
Nd 0.832 0.665 0.250
Nd 0.334 0.668 0.501
Nd 0.666 0.332 0.499
Nd 0.334 0.668 0.999
Pm 0.498 0.997 0.750
Pm 0.502 0.003 0.250
Er 0.166 0.333 0.250
Er 0.834 0.667 0.750
Sm 0.000 0.000 0.500
Sm 0.000 0.000 0.000

ρ: 7.28 g/cm3
Energy: -4.707 eV per atom



2.
# TbHfZr

A relaxed TbHfZr crystal (PBE, Alexandria).

abc: 3.201 3.201 7.827
angles: 101.80 101.80 90.00
Fractional positions:
Zr 0.681 0.681 0.361
Tb 0.997 0.997 0.993
=====

_Response_
Each line ends with the local moment (μB).